Listing.
____________
VASP calculation (PBE-GGA) on a relaxed RbCd4In2 crystal. Values from VASP.

Output
- size of the total moment (μB per formula unit) = 0.0
- electronic total energy (Ha/atom) = -0.055
- ΔE to the lowest computed polymorph (meV per atom) = 0
- E_form (eV per atom) = -0.043
- D(E_F) (states/eV per atom) = 0.37

Cell and atoms, written as Quantum ESPRESSO input:
```
&SYSTEM
  ibrav = 0, nat = 7, ntyp = 3
/
ATOMIC_SPECIES
Rb 85.47 Rb.upf
Cd 112.41 Cd.upf
In 114.82 In.upf
ATOMIC_POSITIONS angstrom
Rb 0.0000 0.0000 0.0000
Cd 2.4161 5.2654 2.4392
Cd 2.4161 3.2379 0.0000
Cd 2.4161 -3.2379 0.0000
Cd 2.4161 -5.2654 2.4392
In 2.4161 1.5194 2.4392
In 2.4161 -1.5194 2.4392
CELL_PARAMETERS angstrom
2.4161 -8.4986 0.0000
2.4161 8.4986 0.0000
0.0000 0.0000 4.8784
```



VASP calculation (PBE-GGA) on a relaxed Zr3Fe8Re crystal. Values from VASP.

Output
- size of the total moment (μB per formula unit) = 14.3
- electronic total energy (Ha/atom) = -0.330
- E_form (eV per atom) = -0.169
- D(E_F) (states/eV per atom) = 1.01

Cell and atoms, written as Quantum ESPRESSO input:
```
&SYSTEM
  ibrav = 0, nat = 12, ntyp = 3
/
ATOMIC_SPECIES
Zr 91.22 Zr.upf
Fe 55.84 Fe.upf
Re 186.21 Re.upf
ATOMIC_POSITIONS angstrom
Zr 0.0000 0.0000 0.0000
Zr 0.0000 0.0000 3.0908
Zr 0.0000 0.0000 12.2607
Fe -1.2342 -0.7126 9.6091
Fe 0.0000 -1.4081 5.6400
Fe -1.2194 0.7040 5.6400
Fe 0.0000 0.0000 7.6075
Fe 1.2194 0.7040 5.6399
Fe 1.2342 -0.7126 9.6091
Fe 0.0000 1.4252 9.6091
Fe 0.0000 0.0000 19.6929
Re 0.0000 0.0000 15.2060
CELL_PARAMETERS angstrom
2.4535 1.4165 8.0381
-2.4535 1.4165 8.0381
0.0000 -2.8330 8.0381
```



VASP calculation (PBE-GGA) on a relaxed PmGaGe2Ru2 crystal. Values from VASP.

Output
- size of the total moment (μB per formula unit) = 0.6
- electronic total energy (Ha/atom) = -0.222
- E_form (eV per atom) = -0.120
- D(E_F) (states/eV per atom) = 1.03

Cell and atoms, written as Quantum ESPRESSO input:
```
&SYSTEM
  ibrav = 0, nat = 6, ntyp = 4
/
ATOMIC_SPECIES
Pm 145.00 Pm.upf
Ga 69.72 Ga.upf
Ge 72.64 Ge.upf
Ru 101.07 Ru.upf
ATOMIC_POSITIONS angstrom
Pm 0.0000 0.0000 0.0000
Ga 0.0000 0.0000 2.7967
Ge 2.2794 2.2794 1.3172
Ge 2.2794 2.2794 4.2762
Ru 0.0000 2.2794 2.7967
Ru 2.2794 0.0000 2.7967
CELL_PARAMETERS angstrom
4.5587 0.0000 0.0000
0.0000 4.5587 0.0000
0.0000 0.0000 5.5934
```



VASP calculation (PBE-GGA) on a relaxed ErBePd3 crystal. Values from VASP.

Output
- size of the total moment (μB per formula unit) = 0.0
- electronic total energy (Ha/atom) = -0.201
- ΔE to the lowest computed polymorph (meV per atom) = 60
- E_form (eV per atom) = -0.699
- D(E_F) (states/eV per atom) = 0.57

Cell and atoms, written as Quantum ESPRESSO input:
```
&SYSTEM
  ibrav = 0, nat = 5, ntyp = 3
/
ATOMIC_SPECIES
Er 167.26 Er.upf
Be 9.01 Be.upf
Pd 106.42 Pd.upf
ATOMIC_POSITIONS angstrom
Er 0.0000 0.0000 0.0000
Be 2.1734 2.1734 2.1734
Pd 0.0000 2.1734 2.1734
Pd 2.1734 0.0000 2.1734
Pd 2.1734 2.1734 0.0000
CELL_PARAMETERS angstrom
4.3468 0.0000 0.0000
0.0000 4.3468 0.0000
0.0000 0.0000 4.3468
```



VASP calculation (PBE-GGA) on a relaxed AcTb2Au3 crystal. Values from VASP.

Output
- size of the total moment (μB per formula unit) = 0.0
- electronic total energy (Ha/atom) = -0.172
- E_form (eV per atom) = -0.813
- D(E_F) (states/eV per atom) = 0.49

Cell and atoms, written as Quantum ESPRESSO input:
```
&SYSTEM
  ibrav = 0, nat = 6, ntyp = 3
/
ATOMIC_SPECIES
Ac 227.00 Ac.upf
Tb 158.93 Tb.upf
Au 196.97 Au.upf
ATOMIC_POSITIONS angstrom
Ac 0.0000 0.0000 0.0000
Tb 0.0000 0.0000 3.8247
Tb 0.0000 0.0000 7.3934
Au 1.8470 1.8470 2.1882
Au 1.8470 1.8470 5.6090
Au 1.8470 1.8470 9.0299
CELL_PARAMETERS angstrom
3.6940 0.0000 0.0000
0.0000 3.6940 0.0000
0.0000 0.0000 11.2181
```



VASP calculation (PBE-GGA) on a relaxed Li2H5W crystal. Values from VASP.

Output
- size of the total moment (μB per formula unit) = 0.0
- electronic total energy (Ha/atom) = -0.157
- D(E_F) (states/eV per atom) = 0.28

Cell and atoms, written as Quantum ESPRESSO input:
```
&SYSTEM
____________

Request.
What is needed: quote only the last part of the contents further above, starting with the line that has "-0.330".

Written answer.
- electronic total energy (Ha/atom) = -0.330
- E_form (eV per atom) = -0.169
- D(E_F) (states/eV per atom) = 1.01

Cell and atoms, written as Quantum ESPRESSO input:
```
&SYSTEM
  ibrav = 0, nat = 12, ntyp = 3
/
ATOMIC_SPECIES
Zr 91.22 Zr.upf
Fe 55.84 Fe.upf
Re 186.21 Re.upf
ATOMIC_POSITIONS angstrom
Zr 0.0000 0.0000 0.0000
Zr 0.0000 0.0000 3.0908
Zr 0.0000 0.0000 12.2607
Fe -1.2342 -0.7126 9.6091
Fe 0.0000 -1.4081 5.6400
Fe -1.2194 0.7040 5.6400
Fe 0.0000 0.0000 7.6075
Fe 1.2194 0.7040 5.6399
Fe 1.2342 -0.7126 9.6091
Fe 0.0000 1.4252 9.6091
Fe 0.0000 0.0000 19.6929
Re 0.0000 0.0000 15.2060
CELL_PARAMETERS angstrom
2.4535 1.4165 8.0381
-2.4535 1.4165 8.0381
0.0000 -2.8330 8.0381
```



VASP calculation (PBE-GGA) on a relaxed PmGaGe2Ru2 crystal. Values from VASP.

Output
- size of the total moment (μB per formula unit) = 0.6
- electronic total energy (Ha/atom) = -0.222
- E_form (eV per atom) = -0.120
- D(E_F) (states/eV per atom) = 1.03

Cell and atoms, written as Quantum ESPRESSO input:
```
&SYSTEM
  ibrav = 0, nat = 6, ntyp = 4
/
ATOMIC_SPECIES
Pm 145.00 Pm.upf
Ga 69.72 Ga.upf
Ge 72.64 Ge.upf
Ru 101.07 Ru.upf
ATOMIC_POSITIONS angstrom
Pm 0.0000 0.0000 0.0000
Ga 0.0000 0.0000 2.7967
Ge 2.2794 2.2794 1.3172
Ge 2.2794 2.2794 4.2762
Ru 0.0000 2.2794 2.7967
Ru 2.2794 0.0000 2.7967
CELL_PARAMETERS angstrom
4.5587 0.0000 0.0000
0.0000 4.5587 0.0000
0.0000 0.0000 5.5934
```



VASP calculation (PBE-GGA) on a relaxed ErBePd3 crystal. Values from VASP.

Output
- size of the total moment (μB per formula unit) = 0.0
- electronic total energy (Ha/atom) = -0.201
- ΔE to the lowest computed polymorph (meV per atom) = 60
- E_form (eV per atom) = -0.699
- D(E_F) (states/eV per atom) = 0.57

Cell and atoms, written as Quantum ESPRESSO input:
```
&SYSTEM
  ibrav = 0, nat = 5, ntyp = 3
/
ATOMIC_SPECIES
Er 167.26 Er.upf
Be 9.01 Be.upf
Pd 106.42 Pd.upf
ATOMIC_POSITIONS angstrom
Er 0.0000 0.0000 0.0000
Be 2.1734 2.1734 2.1734
Pd 0.0000 2.1734 2.1734
Pd 2.1734 0.0000 2.1734
Pd 2.1734 2.1734 0.0000
CELL_PARAMETERS angstrom
4.3468 0.0000 0.0000
0.0000 4.3468 0.0000
0.0000 0.0000 4.3468
```



VASP calculation (PBE-GGA) on a relaxed AcTb2Au3 crystal. Values from VASP.

Output
- size of the total moment (μB per formula unit) = 0.0
- electronic total energy (Ha/atom) = -0.172
- E_form (eV per atom) = -0.813
- D(E_F) (states/eV per atom) = 0.49

Cell and atoms, written as Quantum ESPRESSO input:
```
&SYSTEM
  ibrav = 0, nat = 6, ntyp = 3
/
ATOMIC_SPECIES
Ac 227.00 Ac.upf
Tb 158.93 Tb.upf
Au 196.97 Au.upf
ATOMIC_POSITIONS angstrom
Ac 0.0000 0.0000 0.0000
Tb 0.0000 0.0000 3.8247
Tb 0.0000 0.0000 7.3934
Au 1.8470 1.8470 2.1882
Au 1.8470 1.8470 5.6090
Au 1.8470 1.8470 9.0299
CELL_PARAMETERS angstrom
3.6940 0.0000 0.0000
0.0000 3.6940 0.0000
0.0000 0.0000 11.2181
```



VASP calculation (PBE-GGA) on a relaxed Li2H5W crystal. Values from VASP.

Output
- size of the total moment (μB per formula unit) = 0.0
- electronic total energy (Ha/atom) = -0.157
- D(E_F) (states/eV per atom) = 0.28

Cell and atoms, written as Quantum ESPRESSO input:
```
&SYSTEM